Am Fam Physician. 2002;65(7):1453-1457
-- These data records were left in the page by mistake --
/*
Entry 1:
CaLuMn2O6, optimized geometry, DFT GGA+U; distance to the lowest polymorph of the same formula = 3 meV per atom
1.0
5.306 0.000 0.000
0.000 5.561 0.000
0.000 0.000 7.497
Mn O Ca Lu
4 12 2 2
Direct
0.501 0.754 0.750
0.001 0.246 0.250
0.501 0.754 0.250
0.001 0.246 0.750
0.409 0.708 0.500
0.191 0.938 0.805
0.290 0.458 0.201
0.790 0.542 0.299
0.790 0.542 0.701
0.118 0.220 0.500
0.691 0.062 0.695
0.290 0.458 0.799
0.191 0.938 0.195
0.909 0.292 0.000
0.691 0.062 0.305
0.618 0.780 0.000
0.489 0.193 0.000
0.989 0.807 0.500
0.519 0.323 0.500
0.019 0.677 0.000

=====

Entry 2:
CaMg6MnO8, optimized geometry, DFT GGA+U; distance to the lowest polymorph of the same formula = 0 meV per atom
1.0
8.744 0.000 0.000
0.000 4.396 0.000
0.000 0.000 4.396
Mg Mn O Ca
6 1 8 1
Direct
0.500 0.500 0.500
0.259 0.500 0.000
0.741 0.000 0.500
0.259 0.000 0.500
0.741 0.500 0.000
0.500 0.000 0.000
0.000 0.500 0.500
0.500 0.500 0.000
0.500 0.000 0.500
0.259 0.500 0.500
0.735 0.000 0.000
0.265 0.000 0.000
0.000 0.000 0.500
0.000 0.500 0.000
0.741 0.500 0.500
0.000 0.000 0.000

=====

Entry 3:
CaMg6MnO8, optimized geometry, DFT GGA+U; distance to the lowest polymorph of the same formula = 17 meV per atom
1.0
8.736 0.000 0.000
0.000 4.407 0.000
0.000 0.000 4.407
Mg O Mn Ca
6 8 1 1
Direct
0.255 0.000 0.500
0.255 0.500 0.000
0.745 0.500 0.000
0.000 0.500 0.500
0.500 0.500 0.500
0.745 0.000 0.500
0.742 0.000 0.000
0.258 0.000 0.000
0.000 0.000 0.500
0.251 0.500 0.500
0.500 0.500 0.000
0.000 0.500 0.000
0.749 0.500 0.500
0.500 0.000 0.500
0.500 0.000 0.000
0.000 0.000 0.000

=====

Entry 4:
A relaxed structure of Ca7MgMn8O20. Source: Materials Project, functional GGA+U.

The structure in POSCAR format:
```
Ca7MgMn8O20
1.0
-2.409 -4.348 9.734
-10.622 3.242 -1.267
3.356 -12.359 -10.970
O Ca Mn Mg
80 28 32 4
Direct
0.883 0.879 0.508
0.922 0.564 0.751
0.596 0.598 0.133
0.426 0.083 0.750
0.451 0.401 0.366
0.157 0.887 0.036
0.128 0.113 0.988
0.386 0.881 0.513
0.671 0.939 0.249
0.870 0.614 0.479
0.953 0.904 0.367
0.424 0.564 0.750
0.671 0.439 0.249
0.331 0.288 0.633
0.408 0.580 0.235
0.342 0.261 0.131
0.123 0.617 0.481
0.676 0.417 0.751
0.199 0.724 0.875
0.075 0.093 0.633
0.836 0.782 0.630
0.124 0.119 0.487
0.443 0.404 0.869
0.384 0.379 0.509
0.371 0.116 0.485
0.378 0.621 0.979
0.138 0.379 0.515
0.673 0.934 0.751
0.928 0.579 0.249
0.884 0.380 0.510
0.679 0.210 0.363
0.138 0.878 0.515
0.173 0.938 0.752
0.151 0.393 0.032
0.958 0.896 0.875
0.600 0.103 0.135
0.625 0.115 0.983
0.707 0.723 0.874
0.169 0.437 0.248
0.831 0.287 0.634
0.350 0.758 0.131
0.638 0.380 0.516
0.679 0.712 0.363
0.152 0.920 0.237
0.134 0.615 0.988
0.395 0.898 0.027
0.087 0.618 0.135
0.622 0.617 0.483
0.622 0.118 0.486
0.881 0.107 0.986
0.910 0.881 0.030
0.846 0.776 0.133
0.388 0.398 0.022
0.579 0.595 0.629
0.951 0.402 0.871
0.654 0.895 0.025
0.380 0.121 0.981
0.952 0.399 0.368
0.449 0.899 0.873
0.627 0.621 0.985
0.633 0.379 0.013
0.192 0.218 0.872
0.371 0.614 0.481
0.442 0.905 0.365
0.334 0.780 0.631
0.831 0.267 0.131
*/
Panic disorder is a disabling condition and a common diagnosis in the primary care physician's office. The initial presentation may feature various physical complaints, including cardiovascular, gastrointestinal, and neurologic symptoms. Persons with panic disorder tend to visit physicians' offices at much higher rates than the general population. Despite these frequent visits, panic disorder tends to be under-diagnosed. In addition, studies have shown that even after diagnosis, patients with this disorder tend to receive less than adequate pharmacotherapy or psychotherapy. Collaborative care between primary care physicians and psychiatrists has been shown to be an effective management strategy in treating depression, but no studies have examined this treatment model for effectiveness in panic disorder. Roy-Byrne and associates studied the effectiveness of collaborative care in the treatment of patients with panic disorder.
Patients who were seen at three primary care sites, met criteria from the Diagnostic and Statistical Manual of Mental Disorders, 4th ed. (DSM-IV) for panic disorder, and had at least one panic attack in the past month were eligible for the study. The participants were randomly assigned to receive usual care or collaborative care. Usual care consisted of the primary care physician providing pharmacotherapy and management after an initial diagnostic telephone evaluation. In the collaborative care model, participants received educational videotapes and pamphlets, pharmacotherapy, two psychiatrist visits, and two telephone follow-ups during the first eight weeks of the study. Both groups were treated with the same medication unless participants were unable to tolerate the selected agent. Patients were assessed multiple times during the 12-month study. The assessment included panic, anxiety sensitivity, depression, and disability variables, along with pharmacotherapy response.
Patients in the collaborative care group were more likely to receive an adequate dosage and duration of medication. In addition, these patients were more likely to still be compliant with their medication at three and six months. Patients in the collaborative care group improved more significantly in measures of anxiety, depression, and disability than did the patients in the usual care group.
The authors conclude that the collaborative care model for the treatment of panic disorder was more effective than treatment by a primary care physician alone. The greater effectiveness included improvement in compliance with medication regimens and better clinical and functional outcomes. The authors also note that future studies should examine the stepped-care approach, where primary care physicians care for patients who do respond, and those who do not respond, or have an incomplete response, are referred for collaborative care.